== Entries ==
____________
Formula: C45H42BrN3O10PbS3
Source: the OMol25 dataset
Level of theory: ωB97M-V/def2-TZVPD

- Charge: +2
- LUMO: -8.18 eV
- Gap between HOMO and LUMO: 4.48 eV
- DFT total energy: -180074.359 eV
- Relative energy (zero: lowest compared OMol25 entry of this formula, charge and spin): 0.00 kcal/mol

Last column: Mulliken charge in e.
Geometry (Å):
Pb 0.53839 -0.73497 -0.39196  2.20
O 1.72757 -5.09462 4.15055  -0.52
C 1.58050 -4.14633 3.21390  0.83
C 2.18032 -4.21470 1.96026  -0.47
C 1.95336 -3.18796 1.06325  -0.27
N 1.19861 -2.13805 1.40569  0.68
C 0.61688 -2.06834 2.59890  0.43
C 0.75520 -3.05810 3.54181  -1.09
C -0.27515 -0.82033 2.77776  -0.04
O -1.20980 -0.92987 3.60175  -0.76
O -0.04551 0.13064 2.00443  -0.27
C 2.53456 -3.18068 -0.35601  0.11
O 3.22626 -4.10995 -0.69647  -0.69
O 2.18597 -2.14133 -1.05811  -0.70
H 2.34824 -5.77270 3.85503  0.34
H 2.81442 -5.03734 1.65029  0.55
H 0.27253 -2.99439 4.50668  0.60
O 2.35903 0.79757 -0.53443  -0.56
S 3.86803 0.91633 -0.53614  0.00
C 4.09690 2.59862 -1.15725  -0.62
C 3.56962 2.85485 -2.59355  -1.26
C 2.21586 3.61299 -2.70021  -0.49
C 0.95373 2.74724 -2.55209  0.59
S -0.53600 3.40577 -1.71540  0.05
O -1.23200 2.17867 -1.17769  -0.48
C 0.22468 4.19793 -0.30893  0.35
C 0.45527 5.56649 -0.35056  -0.68
C 1.05479 6.18609 0.73818  -0.64
C 1.39796 5.43899 1.85710  -0.80
C 1.14320 4.07198 1.89512  -0.63
C 0.55509 3.44255 0.80823  0.16
C 4.34398 1.19208 1.15560  0.41
C 5.68446 1.41285 1.44807  -0.62
C 6.06213 1.58741 2.76959  -0.62
C 5.11080 1.51729 3.78094  -0.66
C 3.78121 1.26958 3.47388  -1.16
C 3.38579 1.10240 2.15171  0.04
H 5.17766 2.74868 -1.10280  0.61
H 3.63148 3.26635 -0.42887  0.26
H 3.56270 1.93452 -3.18380  0.40
H 4.31425 3.49868 -3.06398  0.51
H 2.18152 4.11232 -3.66969  0.49
H 2.23814 4.41194 -1.95865  0.16
H 1.14654 1.86018 -1.97061  -0.71
H 0.58287 2.44204 -3.53379  0.56
H 0.17164 6.14339 -1.22469  0.51
H 1.24486 7.25131 0.71493  0.47
H 1.86099 5.92456 2.70619  0.44
H 1.41108 3.49532 2.77027  0.50
H 0.35379 2.37673 0.81626  0.14
H 6.43091 1.44060 0.66256  0.46
H 7.10132 1.76694 3.01087  0.42
H 5.41366 1.64600 4.81179  0.42
H 3.04427 1.20222 4.26498  0.55
H 2.35189 0.89794 1.90138  0.80
C -1.61459 -3.94216 1.04129  -1.24
O -1.81787 -2.49448 1.03363  0.82
C -2.81033 -1.96210 1.61192  0.19
C -3.80348 -2.61108 2.35169  -0.78
C -4.81500 -1.84538 2.86422  -0.67
Br -6.15586 -2.63543 3.85057  -0.04
C -4.91924 -0.40462 2.68342  -0.22
C -3.99932 0.27402 1.98173  0.20
C -2.88045 -0.47585 1.37531  0.89
O -2.00096 0.05680 0.76448  -0.29
C -4.03095 1.73086 1.80121  -0.02
N -3.25454 2.45890 0.99385  0.57
C -3.58722 3.79833 1.11691  0.81
C -3.07582 4.93899 0.50122  -0.39
C -3.65166 6.13213 0.87084  -0.89
C -4.69775 6.19920 1.81366  -0.52
C -5.20552 5.07357 2.42066  -1.22
C -4.62074 3.86738 2.04517  0.32
N -4.86569 2.55969 2.44184  0.02
H -1.34891 -4.24308 2.05223  0.49
H -0.80022 -4.10464 0.34445  0.10
H -2.52299 -4.42130 0.68461  0.55
H -3.77568 -3.67750 2.52299  0.65
H -5.77382 0.07293 3.14506  0.55
H -2.52191 2.06422 0.39434  -0.07
H -2.27375 4.88528 -0.21947  0.55
H -3.29395 7.05075 0.42600  0.47
H -5.11190 7.16568 2.06594  0.42
H -6.00826 5.12591 3.14335  0.44
H -5.54542 2.28272 3.13221  0.28
C 0.02667 -7.75807 -6.00513  -1.46
C -0.09218 -6.41762 -5.33600  0.91
C 0.53072 -5.29355 -5.86686  -0.71
C 0.41921 -4.05548 -5.25024  -0.58
C -0.33983 -3.94499 -4.09824  0.29
C -0.96586 -5.05054 -3.54075  -0.45
C -0.83531 -6.27835 -4.16147  -0.64
S -0.48752 -2.35605 -3.33653  0.47
C -2.08555 -1.87514 -3.98203  -1.00
O -0.72220 -2.57894 -1.85818  -0.70
H 0.81956 -7.75904 -6.75066  0.37
H -0.90627 -8.02131 -6.50681  0.31
H 0.24129 -8.54091 -5.27777  0.37
H 1.12872 -5.38981 -6.76424  0.34
H 0.93391 -3.19224 -5.65568  0.44
H -1.52096 -4.94608 -2.61631  0.30
H -1.30920 -7.15171 -3.72904  0.39
H -2.82852 -2.60754 -3.66841  0.34
H -2.02805 -1.83544 -5.06971  0.42
H -2.31130 -0.88532 -3.58362  0.30

Atoms 1-6, force components in eV/Å:
0.2 0.1 -0.6
0.1 0.0 -0.1
-0.2 0.1 0.2
0.1 0.0 -0.3
-0.1 0.2 0.4
____________

== Activity ==
Your job: copy the material further above with every line break kept.

== Completed ==
Formula: C45H42BrN3O10PbS3
Source: the OMol25 dataset
Level of theory: ωB97M-V/def2-TZVPD

- Charge: +2
- LUMO: -8.18 eV
- Gap between HOMO and LUMO: 4.48 eV
- DFT total energy: -180074.359 eV
- Relative energy (zero: lowest compared OMol25 entry of this formula, charge and spin): 0.00 kcal/mol

Last column: Mulliken charge in e.
Geometry (Å):
Pb 0.53839 -0.73497 -0.39196  2.20
O 1.72757 -5.09462 4.15055  -0.52
C 1.58050 -4.14633 3.21390  0.83
C 2.18032 -4.21470 1.96026  -0.47
C 1.95336 -3.18796 1.06325  -0.27
N 1.19861 -2.13805 1.40569  0.68
C 0.61688 -2.06834 2.59890  0.43
C 0.75520 -3.05810 3.54181  -1.09
C -0.27515 -0.82033 2.77776  -0.04
O -1.20980 -0.92987 3.60175  -0.76
O -0.04551 0.13064 2.00443  -0.27
C 2.53456 -3.18068 -0.35601  0.11
O 3.22626 -4.10995 -0.69647  -0.69
O 2.18597 -2.14133 -1.05811  -0.70
H 2.34824 -5.77270 3.85503  0.34
H 2.81442 -5.03734 1.65029  0.55
H 0.27253 -2.99439 4.50668  0.60
O 2.35903 0.79757 -0.53443  -0.56
S 3.86803 0.91633 -0.53614  0.00
C 4.09690 2.59862 -1.15725  -0.62
C 3.56962 2.85485 -2.59355  -1.26
C 2.21586 3.61299 -2.70021  -0.49
C 0.95373 2.74724 -2.55209  0.59
S -0.53600 3.40577 -1.71540  0.05
O -1.23200 2.17867 -1.17769  -0.48
C 0.22468 4.19793 -0.30893  0.35
C 0.45527 5.56649 -0.35056  -0.68
C 1.05479 6.18609 0.73818  -0.64
C 1.39796 5.43899 1.85710  -0.80
C 1.14320 4.07198 1.89512  -0.63
C 0.55509 3.44255 0.80823  0.16
C 4.34398 1.19208 1.15560  0.41
C 5.68446 1.41285 1.44807  -0.62
C 6.06213 1.58741 2.76959  -0.62
C 5.11080 1.51729 3.78094  -0.66
C 3.78121 1.26958 3.47388  -1.16
C 3.38579 1.10240 2.15171  0.04
H 5.17766 2.74868 -1.10280  0.61
H 3.63148 3.26635 -0.42887  0.26
H 3.56270 1.93452 -3.18380  0.40
H 4.31425 3.49868 -3.06398  0.51
H 2.18152 4.11232 -3.66969  0.49
H 2.23814 4.41194 -1.95865  0.16
H 1.14654 1.86018 -1.97061  -0.71
H 0.58287 2.44204 -3.53379  0.56
H 0.17164 6.14339 -1.22469  0.51
H 1.24486 7.25131 0.71493  0.47
H 1.86099 5.92456 2.70619  0.44
H 1.41108 3.49532 2.77027  0.50
H 0.35379 2.37673 0.81626  0.14
H 6.43091 1.44060 0.66256  0.46
H 7.10132 1.76694 3.01087  0.42
H 5.41366 1.64600 4.81179  0.42
H 3.04427 1.20222 4.26498  0.55
H 2.35189 0.89794 1.90138  0.80
C -1.61459 -3.94216 1.04129  -1.24
O -1.81787 -2.49448 1.03363  0.82
C -2.81033 -1.96210 1.61192  0.19
C -3.80348 -2.61108 2.35169  -0.78
C -4.81500 -1.84538 2.86422  -0.67
Br -6.15586 -2.63543 3.85057  -0.04
C -4.91924 -0.40462 2.68342  -0.22
C -3.99932 0.27402 1.98173  0.20
C -2.88045 -0.47585 1.37531  0.89
O -2.00096 0.05680 0.76448  -0.29
C -4.03095 1.73086 1.80121  -0.02
N -3.25454 2.45890 0.99385  0.57
C -3.58722 3.79833 1.11691  0.81
C -3.07582 4.93899 0.50122  -0.39
C -3.65166 6.13213 0.87084  -0.89
C -4.69775 6.19920 1.81366  -0.52
C -5.20552 5.07357 2.42066  -1.22
C -4.62074 3.86738 2.04517  0.32
N -4.86569 2.55969 2.44184  0.02
H -1.34891 -4.24308 2.05223  0.49
H -0.80022 -4.10464 0.34445  0.10
H -2.52299 -4.42130 0.68461  0.55
H -3.77568 -3.67750 2.52299  0.65
H -5.77382 0.07293 3.14506  0.55
H -2.52191 2.06422 0.39434  -0.07
H -2.27375 4.88528 -0.21947  0.55
H -3.29395 7.05075 0.42600  0.47
H -5.11190 7.16568 2.06594  0.42
H -6.00826 5.12591 3.14335  0.44
H -5.54542 2.28272 3.13221  0.28
C 0.02667 -7.75807 -6.00513  -1.46
C -0.09218 -6.41762 -5.33600  0.91
C 0.53072 -5.29355 -5.86686  -0.71
C 0.41921 -4.05548 -5.25024  -0.58
C -0.33983 -3.94499 -4.09824  0.29
C -0.96586 -5.05054 -3.54075  -0.45
C -0.83531 -6.27835 -4.16147  -0.64
S -0.48752 -2.35605 -3.33653  0.47
C -2.08555 -1.87514 -3.98203  -1.00
O -0.72220 -2.57894 -1.85818  -0.70
H 0.81956 -7.75904 -6.75066  0.37
H -0.90627 -8.02131 -6.50681  0.31
H 0.24129 -8.54091 -5.27777  0.37
H 1.12872 -5.38981 -6.76424  0.34
H 0.93391 -3.19224 -5.65568  0.44
H -1.52096 -4.94608 -2.61631  0.30
H -1.30920 -7.15171 -3.72904  0.39
H -2.82852 -2.60754 -3.66841  0.34
H -2.02805 -1.83544 -5.06971  0.42
H -2.31130 -0.88532 -3.58362  0.30

Atoms 1-6, force components in eV/Å:
0.2 0.1 -0.6
0.1 0.0 -0.1
-0.2 0.1 0.2
0.1 0.0 -0.3
-0.1 0.2 0.4